In the past 3 months I have attended 3 big conferences on the use of Learning Technologies.... today I hit complete overload... my cup runneth over as my Dad used to say. Where to start... I have to start articulating my ideas after my own self imposed 'quarantine' as the ideas for workshops for teachers just keep flowing - and I'm bound to forget them if I don't get them down on 'paper' soon.
This weekend I'm in Shanghai for Learning 2.0 08. Great invited speakers, great attendees, lots of conversations. This conference is a little different as it is very informal and the focus is on having conversations and jump-starting our own learning. So far I've been impressed with the following on twitter - people from Australia, US and across SE Asia are participating - not just the 570 here in Shanghai.
What has my mind in overdrive?
David Jakes and Visual Literacy... now I'm thinking about how this can be linked to the IB Learner Profile and helping students develop their skills as communicators. Students need to be able to articulate their thoughts and the concepts that they are trying to convey in a powerful way - and the informed use of visuals can make this so much more effective.
Brian Lockwood - the use of Web 2.0 tools to improve the way that we work in schools. Should we limit the tools that students use or model ourselves more on Google and the way that they allow employees to choose their tools... should we be using mobile devices such as iPhones, gaming consoles, laptops etc. What affordances do online applications like Drop Box, Evernote, Skitch, wikis, twitter, facebook and self directed blogs give us as teachers.
Chris Smith - good to see Chris again after all these years - his work with Shambles is inspiring for life after The ESF. His International School Island in Second Life is fantastic - the possibilities for education are great, however what to do about the age restriction on Second Life and Teen Grid make things a little difficult. Virtual field trips, extension materials for older students.... this needs much more thinking about and inquiry to see the validity. I don't want to be encouraging students to enter Second Life under false pretenses and this is a valid fear given the number of underage students in Facebook.
Ewan McIntosh - Thinking out of the (x)Box - the use of gaming as stimulus for creative writing. This was an amazing presentation - the possibilities for MFL, English, SEN and EAL are there for the picking. The work that has been done by Tim Ryland with Myst and Kim Pericles with Samorost. Linking this to DeBono's Thinking Hats is a great way to start lessons.
**Attached: calculated crystals**
____________
MgCu2W PBEsol optimized geometry; energy of formation from the pure elements = 0.712 eV/atom; DOS(E_F) = 1.19 states/eV/atom
1.0
0.000 3.022 3.022
3.022 0.000 3.022
3.022 3.022 0.000
Mg Cu W
1 2 1
Cartesian
0.000 0.000 0.000 Mg
1.511 1.511 1.511 Cu
3.022 3.022 3.022 Cu
4.533 4.533 4.533 W

----------

K2VCuS4 | the Alexandria database | GGA-PBEsol | relaxed; size of the total moment = 0.00 μB/f.u.; symmetry = Fddd (70); final energy = -83.93 eV for the cell shown
1.0
5.339 0.000 0.000
2.670 6.346 0.000
2.670 0.000 11.170
K V S Cu
4 2 8 2
Cartesian
2.670 0.000 4.002
5.339 0.000 7.168
4.004 3.173 1.583
4.004 3.173 9.587
2.670 0.000 0.000
4.004 3.173 5.585
6.584 5.089 1.240
5.250 4.430 6.825
6.763 5.089 9.930
2.759 1.916 6.825
5.250 1.916 4.345
6.584 1.257 9.930
8.098 4.430 4.345
1.424 1.257 1.240
0.000 0.000 0.000
6.674 3.173 5.585


YAu3 | the Alexandria database | GGA-PBEsol | relaxed; size of the total moment = 0.00 μB/f.u.; symmetry = I4/mmm (139); ΔH_f (0 K) = -621 meV per atom; final energy = -42.16 eV for the cell shown; D(E_F) = 0.486 states/eV per atom
1.0
4.357 0.000 0.000
0.000 4.357 0.000
-2.178 -2.178 8.120
Y Au
2 6
Cartesian
0.000 0.000 6.032
2.178 2.178 2.088
2.178 2.178 6.137
2.178 0.000 4.060
0.000 2.178 0.000
0.000 0.000 1.983
0.000 2.178 4.060
2.178 0.000 0.000

----------

[1]
{
  "formula": "V3Re2W",
  "functional": "PBE",
  "state": "optimized geometry",
  "magmom_total_mub_per_fu": 0.00,
  "formation_energy_mev_per_atom": -283,
  "crystal_system": "tetragonal",
  "space_group": "P4/mmm (123)",
  "lattice": [[3.0515, 0.0000, 0.0000], [0.0000, 3.0515, 0.0000], [0.0000, 0.0000, 9.1834]],
  "species": ["V", "V", "V", "Re", "Re", "W"],
  "fractional_positions": [[0.0000, 0.0000, 0.0000], [0.0000, 0.0000, 0.6696], [0.0000, 0.0000, 0.3304], [0.5000, 0.5000, 0.8347], [0.5000, 0.5000, 0.1653], [0.5000, 0.5000, 0.5000]]
}



[2]
{
  "formula": "KCaTmCl6",
  "functional": "PBE",
  "state": "optimized geometry",
  "formation_energy_uncorrected_ev_per_atom": -2.291,
  "magmom_total_mub_per_fu": 0.00,
  "crystal_system": "trigonal",
  "space_group": "P-31c (163)",
  "lattice": [[-1.2373, -3.0114, 6.2649], [-1.3487, -3.5508, -5.9516], [12.6184, -4.9676, 0.1042]],
  "species": ["K", "K", "Ca", "Ca", "Tm", "Tm", "Cl", "Cl", "Cl", "Cl", "Cl", "Cl", "Cl", "Cl", "Cl", "Cl", "Cl", "Cl"],
  "fractional_positions": [[0.0000, 0.0000, 0.0000], [0.0000, 0.0000, 0.5000], [0.3333, 0.6667, 0.2500], [0.6667, 0.3333, 0.7500], [0.6667, 0.3333, 0.2500], [0.3333, 0.6667, 0.7500], [0.6378, 0.6231, 0.1400], [0.9853, 0.3622, 0.1400], [0.3622, 0.9853, 0.6400], [0.0147, 0.6378, 0.8600], [0.3769, 0.3622, 0.3600], [0.9853, 0.6231, 0.3600], [0.6231, 0.9853, 0.8600], [0.6378, 0.0147, 0.3600], [0.0147, 0.3769, 0.6400], [0.3769, 0.0147, 0.1400], [0.6231, 0.6378, 0.6400], [0.3622, 0.3769, 0.8600]]
}
____________
So where to start? I'm still looking for a 'fool-proof' way to distribute my Learning Technology Newsletter to staff - I refuse to go paper based, I need to make these workshops catchy, linked to the Learner Profile and relevant... not a big ask.... really!!